_Activity_
Your job: find the line underneath that holds "-0.852 0.681", then reproduce that line and all lines after it there.

_Contents_
........
This record from the OMol25 dataset describes 2 unconnected molecules or ions with the total composition CH2F2N2O. The level of theory is the ωB97M-V functional and the def2-TZVPD basis.

Values from the calculation:
- LUMO (spin up / spin down): -1.42 / -0.67 eV
- Energy above the lowest of the compared OMol25 structures with the same formula, charge and spin: 3.836 eV

The geometry in ORCA input format:
```
! RIJCOSX wB97M-V def2-TZVPD def2/J DEFGRID3
* xyz 0 1
C 1.236 0.097 0.114
N 0.438 1.196 0.063
N -2.247 -0.295 0.335
O 1.317 0.955 -0.974
F 2.290 -0.062 0.901
F 0.892 -1.139 -0.176
H -1.391 -0.862 0.349
H -2.536 0.109 -0.612
*
```

=====

This record from the OMol25 dataset describes C6H9OP in the gas phase. The level of theory is the ωB97M-V functional and the def2-TZVPD basis.

Values from the calculation:
- SMILES: CP1C=C[C@]2(C)O[C@H]12
- LUMO: 0.40 eV
- Energy above the lowest of the compared OMol25 structures with the same formula, charge and spin: 1.611 eV

The geometry in ORCA input format:
```
! RIJCOSX wB97M-V def2-TZVPD def2/J DEFGRID3
* xyz 0 1
C -2.325 0.942 0.598
P -1.684 -0.824 0.322
C -0.972 -0.797 -1.248
C 0.488 -0.611 -1.397
C 1.051 -0.559 -0.090
C 2.349 0.332 0.069
O 0.904 -1.735 0.658
C 0.065 -0.760 1.056
H -1.738 1.388 1.441
H -3.384 0.884 0.849
H -2.219 1.412 -0.394
H -1.756 -0.882 -2.050
H 0.942 -0.260 -2.291
H 1.925 1.323 -0.213
H 3.269 -0.091 -0.388
H 2.767 0.419 1.156
H 0.317 -0.182 1.922
*
```

=====

This record from the OMol25 dataset describes 7 unconnected molecules or ions with the total composition C42H98N6O5S. The level of theory is the ωB97M-V functional and the def2-TZVPD basis.

Values from the calculation:
- SMILES: O=C(O)CC[C@]1(S)COC(=O)O1.CCN(CC)CC.CCN(CC)CC.CCN(CC)CC.CCN(CC)CC.CCN(CC)CC.CCN(CC)CC
- LUMO: 0.09 eV

The geometry in ORCA input format:
```
! RIJCOSX wB97M-V def2-TZVPD def2/J DEFGRID3
* xyz 0 1
O 6.711 1.892 4.418
C 7.046 2.420 3.229
O 8.284 1.943 2.530
C 6.209 3.609 2.457
C 4.706 3.887 3.071
C 3.563 2.812 2.592
S 2.565 3.680 1.257
C 2.641 2.033 3.702
O 2.195 0.779 3.017
C 3.100 0.636 1.856
O 3.072 -0.212 0.815
O 4.195 1.623 1.961
H 7.899 1.525 1.681
H 6.105 3.428 1.290
H 6.816 4.618 2.601
H 4.751 4.052 4.245
H 4.368 4.944 2.629
H 3.130 3.431 -0.003
H 1.643 2.675 3.794
H 3.149 1.911 4.749
C -0.611 0.524 1.194
C -1.705 -0.410 1.701
N -1.940 -1.575 0.844
C -3.162 -2.309 1.186
C -3.220 -2.985 2.553
C -0.773 -2.412 0.555
C -0.030 -3.025 1.739
H -0.816 0.859 0.171
H -0.556 1.413 1.832
H 0.375 0.049 1.215
H -2.628 0.183 1.748
H -1.470 -0.704 2.730
H -3.365 -3.060 0.413
H -4.006 -1.609 1.120
H -2.618 -3.893 2.581
H -4.254 -3.284 2.769
H -2.899 -2.323 3.362
H -0.056 -1.816 -0.023
H -1.062 -3.217 -0.133
H 0.120 -2.314 2.555
H 0.961 -3.360 1.415
H -0.549 -3.902 2.130
C -3.960 1.787 -1.607
C -3.615 1.616 -3.083
N -2.329 0.955 -3.324
C -1.885 1.044 -4.718
C -2.731 0.341 -5.775
C -2.147 -0.355 -2.695
C -3.146 -1.453 -3.046
H -3.169 2.324 -1.073
H -4.885 2.366 -1.506
H -4.125 0.825 -1.111
H -3.579 2.625 -3.516
H -4.439 1.092 -3.580
H -0.852 0.681 -4.795
H -1.825 2.107 -4.986
H -2.588 -0.740 -5.754
H -2.426 0.681 -6.772
H -3.798 0.558 -5.670
H -2.160 -0.219 -1.607
H -1.134 -0.723 -2.903
H -4.179 -1.098 -3.047
H -3.081 -2.257 -2.304
H -2.929 -1.901 -4.017
C 1.923 10.401 4.323
C 2.431 9.563 3.154
N 1.675 8.327 2.932
C 2.331 7.408 1.998
C 2.494 7.868 0.552
C 0.230 8.476 2.746
C -0.249 9.359 1.598
H 1.898 9.817 5.250
H 2.587 11.257 4.484
H 0.921 10.801 4.136
H 3.472 9.302 3.383
H 2.456 10.190 2.256
H 1.805 6.445 2.004
H 3.330 7.180 2.393
H 1.552 7.819 0.004
H 3.196 7.202 0.034
H 2.894 8.883 0.477
H -0.198 8.868 3.676
H -0.229 7.485 2.641
H 0.310 10.295 1.525
H -1.301 9.621 1.752
H -0.189 8.841 0.639
C -3.278 -3.339 6.246
C -3.949 -3.052 7.585
N -4.498 -1.698 7.700
C -4.888 -1.347 9.069
C -6.031 -2.137 9.702
C -5.445 -1.293 6.660
C -6.703 -2.137 6.479
H -2.491 -2.608 6.030
H -2.815 -4.332 6.266
H -3.995 -3.334 5.418
H -3.180 -3.187 8.357
H -4.713 -3.816 7.768
H -5.132 -0.278 9.115
........

_Done_
H -0.852 0.681 -4.795
H -1.825 2.107 -4.986
H -2.588 -0.740 -5.754
H -2.426 0.681 -6.772
H -3.798 0.558 -5.670
H -2.160 -0.219 -1.607
H -1.134 -0.723 -2.903
H -4.179 -1.098 -3.047
H -3.081 -2.257 -2.304
H -2.929 -1.901 -4.017
C 1.923 10.401 4.323
C 2.431 9.563 3.154
N 1.675 8.327 2.932
C 2.331 7.408 1.998
C 2.494 7.868 0.552
C 0.230 8.476 2.746
C -0.249 9.359 1.598
H 1.898 9.817 5.250
H 2.587 11.257 4.484
H 0.921 10.801 4.136
H 3.472 9.302 3.383
H 2.456 10.190 2.256
H 1.805 6.445 2.004
H 3.330 7.180 2.393
H 1.552 7.819 0.004
H 3.196 7.202 0.034
H 2.894 8.883 0.477
H -0.198 8.868 3.676
H -0.229 7.485 2.641
H 0.310 10.295 1.525
H -1.301 9.621 1.752
H -0.189 8.841 0.639
C -3.278 -3.339 6.246
C -3.949 -3.052 7.585
N -4.498 -1.698 7.700
C -4.888 -1.347 9.069
C -6.031 -2.137 9.702
C -5.445 -1.293 6.660
C -6.703 -2.137 6.479
H -2.491 -2.608 6.030
H -2.815 -4.332 6.266
H -3.995 -3.334 5.418
H -3.180 -3.187 8.357
H -4.713 -3.816 7.768
H -5.132 -0.278 9.115